20 research outputs found
Electron Spin Relaxation in a Semiconductor Quantum Well
A fully microscopic theory of electron spin relaxation by the
D'yakonov-Perel' type spin-orbit coupling is developed for a semiconductor
quantum well with a magnetic field applied in the growth direction of the well.
We derive the Bloch equations for an electron spin in the well and define
microscopic expressions for the spin relaxation times. The dependencies of the
electron spin relaxation rate on the lowest quantum well subband energy,
magnetic field and temperature are analyzed.Comment: Revised version as will appear in Physical Review
Decoherence and Relaxation of a Quantum Bit in the Presence of Rabi Oscillations
Dissipative dynamics of a quantum bit driven by a strong resonant field and
interacting with a heat bath is investigated. We derive generalized Bloch
equations and find modifications of the qubit's damping rates caused by Rabi
oscillations. Nonequilibrium decoherence of a phase qubit inductively coupled
to a LC-circuit is considered as an illustration of the general results. It is
argued that recent experimental results give a clear evidence of effective
suppression of decoherence in a strongly driven flux qubit.Comment: 14 pages; misprints correcte
Theory of weak continuous measurements in a strongly driven quantum bit
Continuous spectroscopic measurements of a strongly driven superconducting
qubit by means of a high-quality tank circuit (a linear detector) are under
study. Output functions of the detector, namely, a spectrum of voltage
fluctuations and an impedance, are expressed in terms of the qubit spectrum and
magnetic susceptibility. The nonequilibrium spectrum of the current
fluctuations in the qubit loop and the linear response function of the driven
qubit coupled to a heat bath are calculated with Bloch-Redfield and rotating
wave approximations. Backaction effects of the qubit on the tank and the tank
on the qubit are analyzed quantitatively. We show that the voltage spectrum of
the tank provides detailed information about a frequency and a decay rate of
Rabi oscillations in the qubit. It is found that both an efficiency of
spectroscopic measurement and measurement-induced decoherence of the qubit
demonstrate a resonant behaviour as the Rabi frequency approaches the resonant
frequency of the tank. We determine conditions when the spectroscopic
observation of the Rabi oscillations in the flux qubit with the tank circuit
can be considered as a weak continuous quantum measurement.Comment: 28 page
Collective excitations in trapped boson-fermion mixtures: from demixing to collapse
We calculate the spectrum of low-lying collective excitations in a gaseous
cloud formed by a Bose-Einstein condensate and a spin-polarized Fermi gas over
a range of the boson-fermion coupling strength extending from strongly
repulsive to strongly attractive. Increasing boson-fermion repulsions drive the
system towards spatial separation of its components (``demixing''), whereas
boson-fermion attractions drive it towards implosion (``collapse''). The
dynamics of the system is treated in the experimentally relevant collisionless
regime by means of a Random-Phase approximation and the behavior of a
mesoscopic cloud under isotropic harmonic confinement is contrasted with that
of a macroscopic mixture at given average particle densities. In the latter
case the locations of both the demixing and the collapse phase transitions are
sharply defined by the same stability condition, which is determined by the
softening of an eigenmode of either fermionic or bosonic origin. In contrast,
the transitions to either demixing or collapse in a mesoscopic cloud at fixed
confinement and particle numbers are spread out over a range of boson-fermion
coupling strength, and some initial decrease of the frequencies of a set of
collective modes is followed by hardening as evidenced by blue shifts of most
eigenmodes. The spectral hardening can serve as a signal of the impending
transition and is most evident when the number of bosons in the cloud is
relatively large. We propose physical interpretations for these dynamical
behaviors with the help of suitably defined partial compressibilities for the
gaseous cloud under confinement.Comment: 16 pages, 7 figures, revtex
A Generalized Fluctuation-Dissipation Theorem for Nonlinear Response Functions
A nonlinear generalization of the Fluctuation-Dissipation Theorem (FDT) for
the n-point Green functions and the amputated 1PI vertex functions at finite
temperature is derived in the framework of the Closed Time Path formalism. We
verify that this generalized FDT coincides with known results for n=2 and 3.
New explicit relations among the 4-point nonlinear response and correlation
(fluctuation) functions are presented.Comment: 34 pages, Revte
Coherent QCD phenomena in the Coherent Pion-Nucleon and Pion-Nucleus Production of Two Jets at High Relative Momenta
We use QCD to compute the cross section for coherent production of a di-jet
(treated as a moving at high relative transverse momentum,). In the target rest frame,the space-time evolution of this reaction is
dominated by the process in which the high component of
the pion wave function is formed before reaching the target. It then interacts
through two gluon exchange. In the approximation of keeping the leading order
in powers of and all orders in
the amplitudes for other processes are
shown to be smaller at least by a power of . The resulting dominant
amplitude is proportional to ( is the fraction
light-cone(+)momentum carried by the quark in the final state) times the skewed
gluon distribution of the target. For the pion scattering by a nuclear target,
this means that at fixed (but ) the nuclear process in which there is only a single interaction is the
most important one to contribute to the reaction. Thus in this limit color
transparency phenomena should occur.These findings are in accord with E971
experiment at FNAL. We also re-examine a potentially important nuclear multiple
scattering correction which is positive and . The
meaning of the signal obtained from the experimental measurement of pion
diffraction into two jets is also critically examined and significant
corrections are identified.We show also that for values of achieved
at fixed target energies, di-jet production by the e.m. field of the nucleus
leads to an insignificant correction which gets more important as
increases.Comment: 23 pages, 9 figure
Sum rules and dualities for generalized parton distributions: is there a holographic principle?
To leading order approximation, the physical content of generalized parton
distributions (GPDs) that is accessible in deep virtual electroproduction of
+++
## Al7Ag5 (GGA-PBEsol)

Data for Al7Ag5 after structural relaxation.

```
data_Al7Ag5
_cell_length_a 5.6720
_cell_length_b 5.6757
_cell_length_c 7.5332
_cell_angle_alpha 79.00
_cell_angle_beta 67.89
_cell_angle_gamma 60.02
_space_group_name_H-M_alt 'P 1'
_space_group_IT_number 1
_space_group_name_Hall 'P 1'
loop_
_atom_site_label
_atom_site_fract_x
_atom_site_fract_y
_atom_site_fract_z
Ag1 0.1688 0.8197 0.8427
Al1 0.6681 0.8310 0.8328
Al2 0.1697 0.3280 0.8315
Al3 0.3292 0.6720 0.1685
Al4 0.8303 0.6720 0.1685
Ag2 0.0000 0.0000 0.5000
Al5 0.6708 0.3280 0.8315
Ag3 0.5000 0.5000 0.5000
Al6 0.3319 0.1690 0.1672
Ag4 0.5000 0.0000 0.5000
Ag5 0.8312 0.1803 0.1573
Al7 0.0000 0.5000 0.5000
```

Computed properties:
total DFT energy (no corrections): -45.651 eV/cell
calculated volume: 194.6 Å³/cell
crystal system: monoclinic
energy above the lowest structure with this stoichiometry: 0.0189 eV/atom
energy of formation from the pure elements: -38 meV per atom

## Al5Ag (GGA-PBEsol)

Data for Al5Ag after structural relaxation.

```
data_Al5Ag
_cell_length_a 4.6785
_cell_length_b 4.9409
_cell_length_c 4.9409
_cell_angle_alpha 120.00
_cell_angle_beta 90.00
_cell_angle_gamma 90.00
_space_group_name_H-M_alt 'P 1'
_space_group_IT_number 1
_space_group_name_Hall 'P 1'
loop_
_atom_site_label
_atom_site_fract_x
_atom_site_fract_y
_atom_site_fract_z
Al1 0.0000 0.0000 0.6667
Al2 0.5000 0.6667 0.3333
Al3 0.0000 0.3333 0.3333
Al4 0.0000 0.6667 0.0000
Ag1 0.5000 0.0000 0.0000
Al5 0.5000 0.3333 0.6667
```

Computed properties:
total DFT energy (no corrections): -23.445 eV/cell
calculated volume: 98.9 Å³/cell
crystal system: hexagonal
energy above the lowest structure with this stoichiometry: 0.0765 eV/atom
energy of formation from the pure elements: 54 meV per atom

## AlAg (GGA-PBEsol)

Data for AlAg after structural relaxation.

```
data_AlAg
_cell_length_a 4.8200
_cell_length_b 4.8200
_cell_length_c 6.0527
_cell_angle_alpha 90.00
_cell_angle_beta 90.00
_cell_angle_gamma 112.13
_space_group_name_H-M_alt 'P 1'
_space_group_IT_number 1
_space_group_name_Hall 'P 1'
loop_
_atom_site_label
_atom_site_fract_x
_atom_site_fract_y
_atom_site_fract_z
Ag1 0.0000 0.0000 0.7500
Ag2 0.5000 0.0000 0.5000
Al1 0.5000 0.5000 0.7500
Al2 0.5000 0.0000 0.0000
Al3 0.5000 0.5000 0.2500
Ag3 0.0000 0.0000 0.2500
Ag4 0.0000 0.5000 0.0000
Al4 0.0000 0.5000 0.5000
```

Computed properties:
total DFT energy (no corrections): -30.000 eV/cell
calculated volume: 130.3 Å³/cell
crystal system: orthorhombic
energy of formation from the pure elements: -49 meV per atom

## AlAg (GGA-PBEsol)

Data for AlAg after structural relaxation.

```
data_AlAg
_cell_length_a 4.8360
_cell_length_b 4.9484
_cell_length_c 5.4143
_cell_angle_alpha 90.00
_cell_angle_beta 90.00
_cell_angle_gamma 90.00
_space_group_name_H-M_alt 'P 1'
_space_group_IT_number 1
_space_group_name_Hall 'P 1'
loop_
_atom_site_label
_atom_site_fract_x
_atom_site_fract_y
_atom_site_fract_z
Ag1 0.4044 0.2500 0.3849
Ag2 0.5956 0.7500 0.6151
+++
Back to the piece.
photons or mesons is contained in their value on the cross-over trajectory.
This trajectory separates the t-channel and s-channel dominated GPD regions.
The underlying Lorentz covariance implies correspondence between these two
regions through their relation to GPDs on the cross-over trajectory. This point
of view leads to a family of GPD sum rules which are a quark analogue of finite
energy sum rules and it guides us to a new phenomenological GPD concept. As an
example, we discuss the constraints from the JLab/Hall A data on the dominant
Here the piece breaks off for calculated crystals >
********
Crystalline DyMo6Se8 at its relaxed geometry, computed with PBE.

Geometry as CIF:
```
data_DyMo6Se8
_chemical_formula_sum 'Dy1 Mo6 Se8'
_space_group_name_H-M_alt 'P 1'
_space_group_IT_number 1
_space_group_name_Hall 'P 1'
_cell_length_a 6.766
_cell_length_b 6.766
_cell_length_c 6.766
_cell_angle_alpha 89.16
_cell_angle_beta 89.16
_cell_angle_gamma 89.16
loop_
_atom_site_label
_atom_site_type_symbol
_atom_site_fract_x
_atom_site_fract_y
_atom_site_fract_z
_atom_site_occupancy
Mo1 Mo 0.576 0.441 0.767 1
Mo2 Mo 0.233 0.424 0.559 1
Mo3 Mo 0.559 0.233 0.424 1
Mo4 Mo 0.424 0.559 0.233 1
Mo5 Mo 0.441 0.767 0.576 1
Mo6 Mo 0.767 0.576 0.441 1
Se1 Se 0.877 0.243 0.631 1
Se2 Se 0.123 0.757 0.369 1
Se3 Se 0.243 0.631 0.877 1
Se4 Se 0.757 0.369 0.123 1
Se5 Se 0.369 0.123 0.757 1
Se6 Se 0.763 0.763 0.763 1
Se7 Se 0.237 0.237 0.237 1
Se8 Se 0.631 0.877 0.243 1
Dy1 Dy 0.000 0.000 0.000 1
```

Results
SG = No. 148
Raw total energy = -108.1 eV per formula unit
DOS at the Fermi energy = 7.31 states/eV per cell

***

Crystalline DySiMo at its relaxed geometry, computed with PBE.

Geometry as CIF:
```
data_DySiMo
_chemical_formula_sum 'Dy4 Si4 Mo4'
_space_group_name_H-M_alt 'P 1'
_space_group_IT_number 1
_space_group_name_Hall 'P 1'
_cell_length_a 4.186
_cell_length_b 7.404
_cell_length_c 9.588
_cell_angle_alpha 109.06
_cell_angle_beta 102.61
_cell_angle_gamma 90.00
loop_
_atom_site_label
_atom_site_type_symbol
_atom_site_fract_x
_atom_site_fract_y
_atom_site_fract_z
_atom_site_occupancy
Si1 Si 0.327 0.926 0.653 1
Si2 Si 0.645 0.507 0.290 1
Si3 Si 0.673 0.074 0.347 1
Si4 Si 0.355 0.493 0.710 1
Dy1 Dy 0.098 0.208 0.196 1
Dy2 Dy 0.551 0.742 0.103 1
Dy3 Dy 0.449 0.258 0.897 1
Dy4 Dy 0.902 0.792 0.804 1
Mo1 Mo 0.763 0.405 0.526 1
Mo2 Mo 0.255 0.155 0.510 1
Mo3 Mo 0.745 0.845 0.490 1
Mo4 Mo 0.237 0.595 0.474 1
```

Results
SG = No. 12
Raw total energy = -21.4 eV per formula unit
DOS at the Fermi energy = 8.39 states/eV per cell

***

Crystalline DySi2Mo at its relaxed geometry, computed with PBE.

Geometry as CIF:
```
data_DySi2Mo
_chemical_formula_sum 'Dy1 Si2 Mo1'
_space_group_name_H-M_alt 'P 1'
_space_group_IT_number 1
_space_group_name_Hall 'P 1'
_cell_length_a 3.626
_cell_length_b 3.626
_cell_length_c 7.011
_cell_angle_alpha 75.01
_cell_angle_beta 75.01
_cell_angle_gamma 60.00
loop_
_atom_site_label
_atom_site_type_symbol
_atom_site_fract_x
_atom_site_fract_y
_atom_site_fract_z
_atom_site_occupancy
Mo1 Mo 0.000 0.000 0.000 1
Si1 Si 0.738 0.738 0.787 1
Si2 Si 0.262 0.262 0.213 1
Dy1 Dy 0.500 0.500 0.500 1
```

Results
SG = No. 166
Raw total energy = -27.4 eV per formula unit
DOS at the Fermi energy = 2.42 states/eV per cell

***

Crystalline DySiMo at its relaxed geometry, computed with PBE.

Geometry as CIF:
```
data_DySiMo
_chemical_formula_sum 'Dy4 Si4 Mo4'
_space_group_name_H-M_alt 'P 1'
_space_group_IT_number 1
_space_group_name_Hall 'P 1'
_cell_length_a 3.604
_cell_length_b 8.141
_cell_length_c 8.141
_cell_angle_alpha 90.00
_cell_angle_beta 90.00
********
u-quark GPD H. The question arises whether GPDs are governed by some kind of
holographic principle.Comment: 45 pages, 4 figures, Sect. 2 reorganized for clarity. Typos in Eq.
(20) corrected. 4 new refs. Matches published versio